Excerpt
=====
Tb2CuGe6 after structural relaxation. Source: the Materials Project database, functional PBE-GGA.

As for the magnetization: 0.00 μB per cell.

a = 4.0761 Å, b = 10.8839 Å, c = 10.8839 Å
α = 21.55°, β = 90.00°, γ = 90.00°
Closest atoms and distances in Å follow each position.
Atoms (fractional coordinates):
1 Tb 0.0000 0.0000 0.0000  10 Ge 2.99-3.14
2 Tb 0.0000 0.3333 0.3333  4 Cu 3.10, 10 Ge 3.11-3.35
3 Cu 0.5000 0.7794 0.7794  5 Ge 2.32-2.41
4 Ge 0.0000 0.6033 0.6033  1 Ge 2.47
5 Ge 0.0000 0.7189 0.7189  2 Cu 2.41, 1 Ge 2.47
6 Ge 0.5000 0.1026 0.1026  1 Ge 2.49
7 Ge 0.5000 0.2188 0.2188  2 Cu 2.41, 1 Ge 2.49
8 Ge 0.5000 0.4575 0.4575  2 Ge 2.52
9 Ge 0.5000 0.8880 0.8880  1 Cu 2.32, 2 Ge 2.52


Tb3Cu4Ge4 after structural relaxation. Source: the Materials Project database, functional PBE-GGA.

a = 8.0281 Å, b = 8.0281 Å, c = 8.0281 Å
α = 149.56°, β = 130.88°, γ = 58.89°
Closest atoms and distances in Å follow each position.
Atoms (fractional coordinates):
1 Tb 0.0000 0.0000 0.0000  6 Ge 2.95-3.03
2 Tb 0.3695 0.8695 0.5000  6 Ge 3.00-3.07, 6 Cu 3.01-3.08
3 Tb 0.6305 0.1305 0.5000  6 Ge 3.00-3.07, 6 Cu 3.01-3.08
4 Cu 0.0206 0.3315 0.6890  4 Ge 2.49-2.62, 1 Cu 2.52
5 Cu 0.3575 0.6685 0.6890  4 Ge 2.49-2.62, 1 Cu 2.52
6 Cu 0.6425 0.3315 0.3110  4 Ge 2.49-2.62, 1 Cu 2.52
7 Cu 0.9794 0.6685 0.3110  4 Ge 2.49-2.62, 1 Cu 2.52
8 Ge 0.2168 0.2168 0.0000  6 Cu 2.55-2.62
9 Ge 0.3089 0.5000 0.8089  2 Cu 2.49, 1 Ge 2.55
10 Ge 0.6911 0.5000 0.1911  2 Cu 2.49, 1 Ge 2.55
11 Ge 0.7832 0.7832 0.0000  6 Cu 2.55-2.62


Cu2GeTe3 after structural relaxation. Source: the Materials Project database, functional PBE-GGA.

The value obtained for the MP2020-corrected energy is -24.07 eV/f.u. For the distance to the lowest polymorph of the same formula, the calculation gives 6 meV/atom.

a = 7.3525 Å, b = 7.3525 Å, c = 7.3824 Å
α = 99.55°, β = 99.55°, γ = 119.95°
Closest atoms and distances in Å follow each position.
Atoms (fractional coordinates):
1 Cu 0.0844 0.9156 0.5000  4 Te 2.56-2.58
2 Cu 0.2591 0.7595 0.0031  4 Te 2.56-2.57
3 Cu 0.7595 0.2591 0.5031  4 Te 2.56-2.57
4 Cu 0.9156 0.0844 0.0000  4 Te 2.56-2.58
5 Ge 0.4301 0.6019 0.5143  4 Te 2.64-2.74
6 Ge 0.6019 0.4301 0.0143  4 Te 2.64-2.74
7 Te 0.1245 0.6313 0.6341  3 Cu 2.56-2.58, 1 Ge 2.64
8 Te 0.2798 0.4602 0.1211  2 Cu 2.56-2.57, 2 Ge 2.71-2.74
9 Te 0.4602 0.2798 0.6211  2 Cu 2.56-2.57, 2 Ge 2.71-2.74
10 Te 0.6313 0.1245 0.1341  3 Cu 2.56-2.58, 1 Ge 2.64
11 Te 0.8135 0.9795 0.6317  3 Cu 2.56-2.57, 1 Ge 2.64
12 Te 0.9795 0.8135 0.1317  3 Cu 2.56-2.57, 1 Ge 2.64


Cu2GeTe3 after structural relaxation. Source: the Materials Project database, functional PBE-GGA.

As for the magnetization: 0.00 μB per cell. The value obtained for the MP2020-corrected energy is -24.04 eV/f.u. For the distance to the lowest polymorph of the same formula, the calculation gives 10 meV/atom.

a = 7.3951 Å, b = 8.6370 Å, c = 11.3294 Å
α = 112.38°, β = 90.21°, γ = 90.11°
Closest atoms and distances in Å follow each position.
Atoms (fractional coordinates):
1 Cu 0.0000 0.0000 0.0000  4 Te 2.57-2.59
2 Cu 0.0024 0.5017 0.0030  4 Te 2.57-2.59
3 Cu 0.1655 0.9197 0.3427  4 Te 2.58-2.61
4 Cu 0.3300 0.3365 0.6716  4 Te 2.57-2.59
5 Cu 0.3356 0.8372 0.6717  4 Te 2.57-2.58
6 Cu 0.5048 0.2500 0.0007  4 Te 2.59-2.61
7 Cu 0.6776 0.6721 0.3423  4 Te 2.57-2.58
8 Cu 0.8389 0.5909 0.6715  4 Te 2.59-2.61
9 Ge 0.1628 0.4297 0.3458  4 Te 2.67-2.77
10 Ge 0.5037 0.7510 0.9970  4 Te 2.69-2.77
11 Ge 0.6690 0.1704 0.3396  4 Te 2.72-2.74
12 Ge 0.8425 0.0787 0.6731  4 Te 2.67-2.78
13 Te 0.0127 0.1136 0.2453  2 Cu 2.57-2.59, 2 Ge 2.73-2.76
14 Te 0.1734 0.5522 0.6007  3 Cu 2.57-2.59, 1 Ge 2.67
15 Te 0.1828 0.0443 0.5891  3 Cu 2.57-2.58, 1 Ge 2.67
16 Te 0.3282 0.9665 0.9179  3 Cu 2.58-2.61, 1 Ge 2.69
17 Te 0.3307 0.4532 0.9188  3 Cu 2.59-2.61, 1 Ge 2.70
18 Te 0.4956 0.8664 0.2607  2 Cu 2.58-2.59, 2 Ge 2.74-2.77
19 Te 0.5093 0.3886 0.2475  2 Cu 2.58-2.59, 2 Ge 2.74-2.77
20 Te 0.6612 0.7882 0.5869  3 Cu 2.57-2.61, 1 Ge 2.68
=====

Request
Please search the block above for the word "coordinates" and type out each line that has it.

Here it is
Atoms (fractional coordinates):
Atoms (fractional coordinates):
Atoms (fractional coordinates):
Atoms (fractional coordinates):